## Entries
____________
1.
{
  "formula": "Sm2CoTe",
  "functional": "GGA-PBE",
  "state": "optimized geometry",
  "lattice": [[2.0440, 1.1801, 7.4004], [-2.0440, 1.1801, 7.4004], [0.0000, -2.3602, 7.4004]],
  "species": ["Sm", "Sm", "Co", "Te"],
  "frac_coords": [[0.2361, 0.2361, 0.2361], [0.7639, 0.7639, 0.7639], [0.5000, 0.5000, 0.5000], [0.0000, 0.0000, 0.0000]],
  "formation_energy_uncorrected_ev_per_atom": -0.607
}



2.
{
  "formula": "Ho12In5Ga2",
  "functional": "GGA-PBE",
  "state": "optimized geometry",
  "lattice": [[6.4820, -5.2422, 0.0000], [6.4820, 5.2422, 0.0000], [-1.1662, 0.0000, 7.7056]],
  "species": ["Ho", "Ho", "Ho", "Ho", "Ho", "Ho", "Ho", "Ho", "Ho", "Ho", "Ho", "Ho", "In", "In", "In", "In", "In", "Ga", "Ga"],
  "frac_coords": [[0.0762, 0.0762, 0.2024], [0.1159, 0.6563, 0.1266], [0.1546, 0.5490, 0.6805], [0.3437, 0.8841, 0.8734], [0.3781, 0.3781, 0.3482], [0.4510, 0.8454, 0.3195], [0.5490, 0.1546, 0.6805], [0.6219, 0.6219, 0.6518], [0.6563, 0.1159, 0.1266], [0.8454, 0.4510, 0.3195], [0.8841, 0.3437, 0.8734], [0.9238, 0.9238, 0.7976], [0.1721, 0.1721, 0.5868], [0.2633, 0.2633, 0.9671], [0.5000, 0.5000, 0.0000], [0.7367, 0.7367, 0.0329], [0.8279, 0.8279, 0.4132], [0.1751, 0.8249, 0.5000], [0.8249, 0.1751, 0.5000]],
  "formation_enthalpy_0k_ev_per_fu": -4.9
}



3.
{
  "formula": "PmYGaPb",
  "functional": "GGA-PBE",
  "state": "optimized geometry",
  "lattice": [[0.0000, 3.7735, 3.7735], [3.7735, 0.0000, 3.7735], [3.7735, 3.7735, 0.0000]],
  "species": ["Pm", "Y", "Ga", "Pb"],
  "frac_coords": [[0.0000, 0.0000, 0.0000], [0.5000, 0.5000, 0.5000], [0.2500, 0.2500, 0.2500], [0.7500, 0.7500, 0.7500]],
  "formation_enthalpy_0k_ev_per_fu": -1.8
}



4.
{
  "formula": "HfMg2Te",
  "functional": "GGA-PBE",
  "state": "optimized geometry",
  "lattice": [[-4.1316, 4.1316, 2.8906], [4.1316, -4.1316, 2.8906], [4.1316, 4.1316, -2.8906]],
  "species": ["Hf", "Hf", "Mg", "Mg", "Mg", "Mg", "Te", "Te"],
  "frac_coords": [[0.0000, 0.0000, 0.0000], [0.7500, 0.2500, 0.5000], [0.1471, 0.6250, 0.0221], [0.3750, 0.3971, 0.5221], [0.6029, 0.1250, 0.9779], [0.8750, 0.8529, 0.4779], [0.2500, 0.7500, 0.5000], [0.5000, 0.5000, 0.0000]],
  "formation_energy_uncorrected_ev_per_atom": 0.128
}



Going through the records in order, we get ρ values of 7.6 8.5 7.9 6.0 g/cm3.
Going through the records in order, we get raw total energy values of -22.11 -79.62 -19.79 -15.77 eV/f.u..

* * * * *

Entry 1:
A plane-wave DFT calculation with PBE-GGA was carried out for BaN after structural relaxation.

Results
ΔE_f (raw), meV/atom: 221
Space group: I-43m (217)
Crystal system: cubic
ρ, kg/m3: 3454

Geometry as extended XYZ:
```
16
Lattice="-1.6790 -3.1276 7.5575 3.0432 -7.4001 -2.3864 7.5919 2.2746 2.6280" Properties=species:S:1:pos:R:3 pbc="T T T"
Ba 2.9600 -2.7277 2.5776
Ba 6.5653 -4.4652 2.6595
Ba 4.9645 -3.0168 6.0305
Ba 3.4225 -6.2966 4.3306
Ba 7.4381 -6.8542 6.4771
Ba 0.4083 -3.4663 6.3175
Ba 3.5296 -6.2904 -0.2555
Ba 6.5363 0.1046 3.0590
N 1.3696 -1.2621 1.1926
N 8.7521 -4.8200 1.3603
N 5.4741 -1.8542 8.2630
N 2.3166 -8.5700 4.7822
N 5.8476 -5.3886 5.0922
N 2.5950 -3.8211 5.0183
N 4.0392 -5.1277 1.9770
N 5.4304 -2.1688 3.5106
```

=====

Entry 2:
A plane-wave DFT calculation with PBE-GGA was carried out for Ce2SmHg4 after structural relaxation.

Results
E above lowest polymorph, meV per atom: 0
Space group: R-3m (166)
Crystal system: trigonal
ΔH_f (0 K), kJ/mol of formula units: -148
ρ, kg/m3: 9683

Geometry as extended XYZ:
```
7
Lattice="-4.1622 -1.8759 2.5819 -1.4466 -5.0009 -0.6381 3.3863 -4.6730 7.3912" Properties=species:S:1:pos:R:3 pbc="T T T"
Sm 0.0000 0.0000 0.0000
Ce -1.7413 -8.6286 6.9057
Ce -0.4811 -2.9212 2.4293
Hg -3.6200 -7.7777 4.4953
Hg 1.3976 -3.7722 4.8397
Hg -3.0893 -4.8789 2.1297
Hg 0.8668 -6.6709 7.2053
```

=====

Entry 3:
A plane-wave DFT calculation with PBE-GGA was carried out for Tb8Ho5In after structural relaxation.

Results
Space group: I-4 (82)
Crystal system: tetragonal
ΔH_f (0 K), kJ/mol of formula units: 252
ρ, kg/m3: 8074
____________

## Activity
Now work out how many lines above have the word "pbc" in them; a number is enough.

## Worked solution
2